+++
## RbAlRe2O8 (GGA-PBE)

Data for RbAlRe2O8 after structural relaxation.

Unit cell a=5.5524 b=5.5524 c=7.2323 alpha=90.00 beta=90.00 gamma=120.00
Fractional coordinates of all 12 atoms:
Rb 0.0000 0.0000 0.0000
Al 0.0000 0.0000 0.5000
Re 0.3333 0.6667 0.7375
Re 0.6667 0.3333 0.2625
O 0.1564 0.3127 0.6546
O 0.1564 0.8436 0.6546
O 0.3127 0.1564 0.3454
O 0.3333 0.6667 0.9820
O 0.6667 0.3333 0.0180
O 0.6873 0.8436 0.6546
O 0.8436 0.1564 0.3454
O 0.8436 0.6873 0.3454

Computed properties:
crystal system = trigonal
SG = P-3m1
VASP energy = -90.48 eV for the cell shown

=====

## Al2Re2O5 (GGA-PBE)

Data for Al2Re2O5 after structural relaxation.

Unit cell a=3.8410 b=3.8410 c=6.6282 alpha=90.00 beta=90.00 gamma=90.00
Fractional coordinates of all 9 atoms:
Al 0.0000 0.0000 0.0000
Al 0.0000 0.0000 0.5000
Re 0.5000 0.5000 0.1796
Re 0.5000 0.5000 0.8204
O 0.0000 0.5000 0.2602
O 0.0000 0.5000 0.7398
O 0.5000 0.0000 0.2602
O 0.5000 0.0000 0.7398
O 0.5000 0.5000 0.5000

Computed properties:
crystal system = tetragonal
energy above the most stable polymorph in this dataset = 0.242 eV per atom
SG = P4/mmm
VASP energy = -64.35 eV for the cell shown

=====

## AlRe2O4 (GGA-PBE)

Data for AlRe2O4 after structural relaxation.

Unit cell a=5.9435 b=5.9435 c=5.9435 alpha=60.00 beta=60.00 gamma=60.00
Fractional coordinates of all 14 atoms:
Al 0.1250 0.1250 0.1250
Al 0.8750 0.8750 0.8750
Re 0.0000 0.5000 0.5000
Re 0.5000 0.0000 0.5000
Re 0.5000 0.5000 0.0000
Re 0.5000 0.5000 0.5000
O 0.2329 0.7557 0.7557
O 0.2443 0.2443 0.2443
O 0.2443 0.2443 0.7671
O 0.2443 0.7671 0.2443
O 0.7557 0.2329 0.7557
O 0.7557 0.7557 0.2329
O 0.7557 0.7557 0.7557
O 0.7671 0.2443 0.2443

Computed properties:
crystal system = cubic
SG = Fd-3m
VASP energy = -112.86 eV for the cell shown

=====

Q: The lowest VASP energy belongs to which entry?
A: AlRe2O4

* * * * *

# Ac2Tb2Pt15, optimized geometry, DFT PBE-GGA
# V in Å³ per cell: 1081.9
# Formation energy from the elements in eV/f.u.: -14.39
# Spin magnetization in μB/cell: 0.000
data_Ac2Tb2Pt15
_cell_length_a 9.4664
_cell_length_b 9.4664
_cell_length_c 13.9407
_cell_angle_alpha 90.00
_cell_angle_beta 90.00
_cell_angle_gamma 120.00
_symmetry_space_group_name_H-M 'R -3 m'
_symmetry_Int_Tables_number 166
_symmetry_space_group_name_Hall '-R 3 2"'
loop_
_atom_site_label
_atom_site_type_symbol
_atom_site_fract_x
_atom_site_fract_y
_atom_site_fract_z
Ac1 Ac 0.0000 0.0000 0.1450
Tb1 Tb 0.0000 0.0000 0.3942
Pt1 Pt 0.0000 0.3063 0.5000
Pt2 Pt 0.0000 0.5000 0.0000
Pt3 Pt 0.0018 0.5009 0.6548

=====

# MnZnFe2, optimized geometry, DFT PBE-GGA
# V in Å³ per cell: 46.0
# Formation energy from the elements in eV/f.u.: 0.63
# Spin magnetization in μB/cell: 1.299
data_MnZnFe2
_cell_length_a 2.8055
_cell_length_b 2.8055
_cell_length_c 5.8459
_cell_angle_alpha 90.00
_cell_angle_beta 90.00
_cell_angle_gamma 90.00
_symmetry_space_group_name_H-M 'P 4/m m m'
_symmetry_Int_Tables_number 123
_symmetry_space_group_name_Hall '-P 4 2'
loop_
_atom_site_label
_atom_site_type_symbol
_atom_site_fract_x
_atom_site_fract_y
_atom_site_fract_z
Mn1 Mn 0.0000 0.0000 0.0000
Zn1 Zn 0.0000 0.0000 0.5000
Fe1 Fe 0.5000 0.5000 0.2319

=====

# RbWC2, optimized geometry, DFT PBE-GGA
# V in Å³ per cell: 217.9
# Formation energy from the elements in eV/f.u.: 11.98
# Spin magnetization in μB/cell: 0.012
data_RbWC2
_cell_length_a 6.0179
_cell_length_b 6.0179
_cell_length_c 6.0179
_cell_angle_alpha 90.00
_cell_angle_beta 90.00
_cell_angle_gamma 90.00
_symmetry_space_group_name_H-M 'F m -3 m'
_symmetry_Int_Tables_number 225
_symmetry_space_group_name_Hall '-F 4 2 3'
loop_
_atom_site_label
_atom_site_type_symbol
_atom_site_fract_x
_atom_site_fract_y
_atom_site_fract_z
Rb1 Rb 0.0000 0.0000 0.0000
W1 W 0.0000 0.0000 0.5000
C1 C 0.2500 0.2500 0.2500

=====

- What is the V in the first record?
  1081.9 Å³ per cell

* * * * *

An optimized crystal structure of Ac2VS6, computed with PBE-GGA.

Unit cell a=6.044 b=7.635 c=10.877 alpha=90.00 beta=121.52 gamma=90.00
+++

Count the lines further up that contain the word "structure" and give the number alone.

1